**What to do:**
Now echo the whole of the data further down exactly.

**Given:**
1.
## SiO2 (PBE-GGA)

Data for a geometry-optimized SiO2 structure.

```
data_SiO2
_chemical_formula_sum 'Si18 O36'
_cell_length_a 14.4934
_cell_length_b 14.4934
_cell_length_c 5.0650
_cell_angle_alpha 90.00
_cell_angle_beta 90.00
_cell_angle_gamma 120.00
_space_group_name_H-M_alt 'R -3 m'
_space_group_IT_number 166
_space_group_name_Hall '-R 3 2"'
loop_
_atom_site_label
_atom_site_type_symbol
_atom_site_fract_x
_atom_site_fract_y
_atom_site_fract_z
Si1 Si 0.0807 0.5404 0.2341
O1 O 0.0000 0.1774 0.5000
O2 O 0.0000 0.5000 0.0000
O3 O 0.0000 0.5000 0.5000
```

Calculated values
* energy of formation from the pure elements: -69.96 kcal/mol of atoms
* spin magnetization: 0.00 μB per cell
* E: -7.68 eV/atom

2.
## Ba3Al2O12 (PBE-GGA)

Data for a geometry-optimized Ba3Al2O12 structure.

```
data_Ba3Al2O12
_chemical_formula_sum 'Ba24 Al16 O96'
_cell_length_a 14.311
_cell_length_b 14.311
_cell_length_c 14.311
_cell_angle_alpha 90.00
_cell_angle_beta 90.00
_cell_angle_gamma 90.00
_space_group_name_H-M_alt 'I a -3 d'
_space_group_IT_number 230
_space_group_name_Hall '-I 4bd 2c 3'
loop_
_atom_site_label
_atom_site_type_symbol
_atom_site_fract_x
_atom_site_fract_y
_atom_site_fract_z
Ba1 Ba 0.000 0.250 0.125
Al1 Al 0.000 0.000 0.000
O1 O 0.010 0.054 0.618
```

Calculated values
* energy of formation from the pure elements: -41.00 kcal/mol of atoms
* spin magnetization: 95.98 μB per cell
* E: -5.56 eV/atom

3.
## Na10Ca3Ge5P12O48 (PBE-GGA)

Data for a geometry-optimized Na10Ca3Ge5P12O48 structure.

```
data_Na10Ca3Ge5P12O48
_chemical_formula_sum 'Na30 Ca9 Ge15 P36 O144'
_cell_length_a 8.871
_cell_length_b 15.302
_cell_length_c 21.845
_cell_angle_alpha 90.00
_cell_angle_beta 90.06
_cell_angle_gamma 90.18
_space_group_name_H-M_alt 'P 1'
_space_group_IT_number 1
loop_
_space_group_symop_operation_xyz
'x,y,z'
loop_
_atom_site_label
_atom_site_type_symbol
_atom_site_fract_x
_atom_site_fract_y
_atom_site_fract_z
Na1 Na 0.000 0.000 0.000
Na2 Na 0.001 0.327 0.330
Na3 Na 0.026 0.691 0.002
Na4 Na 0.146 0.515 0.087
Na5 Na 0.157 0.855 0.912
Na6 Na 0.168 0.514 0.587
Na7 Na 0.172 0.165 0.250
Na8 Na 0.178 0.856 0.414
Na9 Na 0.184 0.180 0.746
Na10 Na 0.311 0.690 0.501
Na11 Na 0.318 0.349 0.170
Na12 Na 0.332 0.000 0.502
Na13 Na 0.340 0.669 0.170
Na14 Na 0.357 0.354 0.501
Na15 Na 0.364 0.697 0.830
Na16 Na 0.479 0.855 0.001
Na17 Na 0.503 0.500 0.001
Na18 Na 0.523 0.188 0.999
Na19 Na 0.652 0.347 0.415
Na20 Na 0.658 0.356 0.911
Na21 Na 0.661 0.680 0.252
Na22 Na 0.667 0.014 0.587
Na23 Na 0.669 0.014 0.088
Na24 Na 0.684 0.680 0.747
Na25 Na 0.809 0.188 0.502
Na26 Na 0.835 0.498 0.500
Na27 Na 0.857 0.855 0.502
Na28 Na 0.864 0.197 0.829
Na29 Na 0.973 0.690 0.329
Na30 Na 0.976 0.355 0.001
Ca1 Ca 0.162 0.514 0.228
Ca2 Ca 0.166 0.848 0.581
Ca3 Ca 0.171 0.171 0.388
Ca4 Ca 0.174 0.858 0.076
Ca5 Ca 0.177 0.181 0.883
Ca6 Ca 0.661 0.687 0.393
Ca7 Ca 0.664 0.339 0.072
Ca8 Ca 0.668 0.348 0.579
Ca9 Ca 0.677 0.680 0.885
Ge1 Ge 0.163 0.174 0.103
Ge2 Ge 0.164 0.851 0.762
Ge3 Ge 0.166 0.513 0.728
Ge4 Ge 0.166 0.513 0.931
Ge5 Ge 0.167 0.852 0.265
Ge6 Ge 0.168 0.180 0.603
Ge7 Ge 0.171 0.514 0.430
Ge8 Ge 0.664 0.351 0.762
Ge9 Ge 0.665 0.681 0.604
Ge10 Ge 0.666 0.013 0.728
Ge11 Ge 0.666 0.014 0.431
Ge12 Ge 0.667 0.012 0.930
Ge13 Ge 0.667 0.347 0.265
Ge14 Ge 0.671 0.013 0.230
Ge15 Ge 0.678 0.684 0.102
P1 P 0.004 0.706 0.162
P2 P 0.005 0.379 0.826
P3 P 0.009 0.035 0.500
P4 P 0.010 0.001 0.165
P5 P 0.031 0.330 0.495
P6 P 0.042 0.661 0.825
P7 P 0.300 0.673 0.327
P8 P 0.302 0.332 0.998
P9 P 0.323 0.004 0.665
P10 P 0.324 0.038 0.996
P11 P 0.325 0.691 0.666
P12 P 0.335 0.371 0.328
P13 P 0.357 0.347 0.665
P14 P 0.373 0.675 0.996
P15 P 0.389 0.002 0.326
P16 P 0.447 0.501 0.827
P17 P 0.461 0.175 0.499
P18 P 0.478 0.849 0.165
P19 P 0.505 0.879 0.827
P20 P 0.511 0.189 0.165
P21 P 0.512 0.537 0.499
P22 P 0.526 0.834 0.501
P23 P 0.537 0.503 0.161
P24 P 0.543 0.161 0.825
P25 P 0.793 0.161 0.327
P26 P 0.806 0.832 0.997
P27 P 0.823 0.503 0.664
P28 P 0.824 0.537 0.997
P29 P 0.825 0.191 0.666

**Solution:**
1.
## SiO2 (PBE-GGA)

Data for a geometry-optimized SiO2 structure.

```
data_SiO2
_chemical_formula_sum 'Si18 O36'
_cell_length_a 14.4934
_cell_length_b 14.4934
_cell_length_c 5.0650
_cell_angle_alpha 90.00
_cell_angle_beta 90.00
_cell_angle_gamma 120.00
_space_group_name_H-M_alt 'R -3 m'
_space_group_IT_number 166
_space_group_name_Hall '-R 3 2"'
loop_
_atom_site_label
_atom_site_type_symbol
_atom_site_fract_x
_atom_site_fract_y
_atom_site_fract_z
Si1 Si 0.0807 0.5404 0.2341
O1 O 0.0000 0.1774 0.5000
O2 O 0.0000 0.5000 0.0000
O3 O 0.0000 0.5000 0.5000
```

Calculated values
* energy of formation from the pure elements: -69.96 kcal/mol of atoms
* spin magnetization: 0.00 μB per cell
* E: -7.68 eV/atom

2.
## Ba3Al2O12 (PBE-GGA)

Data for a geometry-optimized Ba3Al2O12 structure.

```
data_Ba3Al2O12
_chemical_formula_sum 'Ba24 Al16 O96'
_cell_length_a 14.311
_cell_length_b 14.311
_cell_length_c 14.311
_cell_angle_alpha 90.00
_cell_angle_beta 90.00
_cell_angle_gamma 90.00
_space_group_name_H-M_alt 'I a -3 d'
_space_group_IT_number 230
_space_group_name_Hall '-I 4bd 2c 3'
loop_
_atom_site_label
_atom_site_type_symbol
_atom_site_fract_x
_atom_site_fract_y
_atom_site_fract_z
Ba1 Ba 0.000 0.250 0.125
Al1 Al 0.000 0.000 0.000
O1 O 0.010 0.054 0.618
```

Calculated values
* energy of formation from the pure elements: -41.00 kcal/mol of atoms
* spin magnetization: 95.98 μB per cell
* E: -5.56 eV/atom

3.
## Na10Ca3Ge5P12O48 (PBE-GGA)

Data for a geometry-optimized Na10Ca3Ge5P12O48 structure.

```
data_Na10Ca3Ge5P12O48
_chemical_formula_sum 'Na30 Ca9 Ge15 P36 O144'
_cell_length_a 8.871
_cell_length_b 15.302
_cell_length_c 21.845
_cell_angle_alpha 90.00
_cell_angle_beta 90.06
_cell_angle_gamma 90.18
_space_group_name_H-M_alt 'P 1'
_space_group_IT_number 1
loop_
_space_group_symop_operation_xyz
'x,y,z'
loop_
_atom_site_label
_atom_site_type_symbol
_atom_site_fract_x
_atom_site_fract_y
_atom_site_fract_z
Na1 Na 0.000 0.000 0.000
Na2 Na 0.001 0.327 0.330
Na3 Na 0.026 0.691 0.002
Na4 Na 0.146 0.515 0.087
Na5 Na 0.157 0.855 0.912
Na6 Na 0.168 0.514 0.587
Na7 Na 0.172 0.165 0.250
Na8 Na 0.178 0.856 0.414
Na9 Na 0.184 0.180 0.746
Na10 Na 0.311 0.690 0.501
Na11 Na 0.318 0.349 0.170
Na12 Na 0.332 0.000 0.502
Na13 Na 0.340 0.669 0.170
Na14 Na 0.357 0.354 0.501
Na15 Na 0.364 0.697 0.830
Na16 Na 0.479 0.855 0.001
Na17 Na 0.503 0.500 0.001
Na18 Na 0.523 0.188 0.999
Na19 Na 0.652 0.347 0.415
Na20 Na 0.658 0.356 0.911
Na21 Na 0.661 0.680 0.252
Na22 Na 0.667 0.014 0.587
Na23 Na 0.669 0.014 0.088
Na24 Na 0.684 0.680 0.747
Na25 Na 0.809 0.188 0.502
Na26 Na 0.835 0.498 0.500
Na27 Na 0.857 0.855 0.502
Na28 Na 0.864 0.197 0.829
Na29 Na 0.973 0.690 0.329
Na30 Na 0.976 0.355 0.001
Ca1 Ca 0.162 0.514 0.228
Ca2 Ca 0.166 0.848 0.581
Ca3 Ca 0.171 0.171 0.388
Ca4 Ca 0.174 0.858 0.076
Ca5 Ca 0.177 0.181 0.883
Ca6 Ca 0.661 0.687 0.393
Ca7 Ca 0.664 0.339 0.072
Ca8 Ca 0.668 0.348 0.579
Ca9 Ca 0.677 0.680 0.885
Ge1 Ge 0.163 0.174 0.103
Ge2 Ge 0.164 0.851 0.762
Ge3 Ge 0.166 0.513 0.728
Ge4 Ge 0.166 0.513 0.931
Ge5 Ge 0.167 0.852 0.265
Ge6 Ge 0.168 0.180 0.603
Ge7 Ge 0.171 0.514 0.430
Ge8 Ge 0.664 0.351 0.762
Ge9 Ge 0.665 0.681 0.604
Ge10 Ge 0.666 0.013 0.728
Ge11 Ge 0.666 0.014 0.431
Ge12 Ge 0.667 0.012 0.930
Ge13 Ge 0.667 0.347 0.265
Ge14 Ge 0.671 0.013 0.230
Ge15 Ge 0.678 0.684 0.102
P1 P 0.004 0.706 0.162
P2 P 0.005 0.379 0.826
P3 P 0.009 0.035 0.500
P4 P 0.010 0.001 0.165
P5 P 0.031 0.330 0.495
P6 P 0.042 0.661 0.825
P7 P 0.300 0.673 0.327
P8 P 0.302 0.332 0.998
P9 P 0.323 0.004 0.665
P10 P 0.324 0.038 0.996
P11 P 0.325 0.691 0.666
P12 P 0.335 0.371 0.328
P13 P 0.357 0.347 0.665
P14 P 0.373 0.675 0.996
P15 P 0.389 0.002 0.326
P16 P 0.447 0.501 0.827
P17 P 0.461 0.175 0.499
P18 P 0.478 0.849 0.165
P19 P 0.505 0.879 0.827
P20 P 0.511 0.189 0.165
P21 P 0.512 0.537 0.499
P22 P 0.526 0.834 0.501
P23 P 0.537 0.503 0.161
P24 P 0.543 0.161 0.825
P25 P 0.793 0.161 0.327
P26 P 0.806 0.832 0.997
P27 P 0.823 0.503 0.664
P28 P 0.824 0.537 0.997
P29 P 0.825 0.191 0.666